Request >
It remains to return all of the lines below without additions.

Contents >
____________
Density functional theory data (SCAN) for a crystal of KYRuN2 relaxed with PBEsol.

The structure in extended XYZ format:
```
5
Lattice="4.574 0.000 0.000 0.000 4.574 0.000 0.000 0.000 5.028" Properties=species:S:1:pos:R:3 pbc="T T T"
K 0.000 0.000 0.000
Y 2.287 2.287 2.514
Ru 2.287 2.287 0.000
N 0.000 2.287 2.514
N 2.287 0.000 2.514
```

Results
- Uncorrected formation energy: 1208 meV/atom
- Fermi-level density of states: 3.66 states/eV/cell

=====

An optimized crystal structure of Ca3Ga7Pt4. Source: Alexandria via LeMat-Bulk, functional PBE-GGA.

Results
energy relative to the elements = -10.89 eV/f.u.
SG = C2/m, No. 12
VASP energy = -4.446 eV per atom

a b c (Å): 8.1806 8.1806 9.2600
angles (deg): 122.06 122.06 30.99
Sites, in units of the cell vectors:
Ca 0.0000 0.0000 0.0000
Ca 0.3034 0.3034 0.2987
Ca 0.6966 0.6966 0.7013
Ga 0.0000 0.0000 0.5000
Ga 0.1547 0.1547 0.4284
Ga 0.3196 0.3196 0.9690
Ga 0.4978 0.4978 0.2928
Ga 0.5022 0.5022 0.7072
Ga 0.6804 0.6804 0.0310
Ga 0.8453 0.8453 0.5716
Pt 0.1208 0.1208 0.8434
Pt 0.3426 0.3426 0.7132
Pt 0.6574 0.6574 0.2868
Pt 0.8792 0.8792 0.1566
____________

Worked solution >
Density functional theory data (SCAN) for a crystal of KYRuN2 relaxed with PBEsol.

The structure in extended XYZ format:
```
5
Lattice="4.574 0.000 0.000 0.000 4.574 0.000 0.000 0.000 5.028" Properties=species:S:1:pos:R:3 pbc="T T T"
K 0.000 0.000 0.000
Y 2.287 2.287 2.514
Ru 2.287 2.287 0.000
N 0.000 2.287 2.514
N 2.287 0.000 2.514
```

Results
- Uncorrected formation energy: 1208 meV/atom
- Fermi-level density of states: 3.66 states/eV/cell

=====

An optimized crystal structure of Ca3Ga7Pt4. Source: Alexandria via LeMat-Bulk, functional PBE-GGA.

Results
energy relative to the elements = -10.89 eV/f.u.
SG = C2/m, No. 12
VASP energy = -4.446 eV per atom

a b c (Å): 8.1806 8.1806 9.2600
angles (deg): 122.06 122.06 30.99
Sites, in units of the cell vectors:
Ca 0.0000 0.0000 0.0000
Ca 0.3034 0.3034 0.2987
Ca 0.6966 0.6966 0.7013
Ga 0.0000 0.0000 0.5000
Ga 0.1547 0.1547 0.4284
Ga 0.3196 0.3196 0.9690
Ga 0.4978 0.4978 0.2928
Ga 0.5022 0.5022 0.7072
Ga 0.6804 0.6804 0.0310
Ga 0.8453 0.8453 0.5716
Pt 0.1208 0.1208 0.8434
Pt 0.3426 0.3426 0.7132
Pt 0.6574 0.6574 0.2868
Pt 0.8792 0.8792 0.1566